Many of today’s workers ought to be at least a little worried about how they are going to finance their retirement.
There will be some exceptions of course. Higher earners who have paid off their mortgages relatively young and have sizable inflation-protected pensions from previous employers will be fine.
But the era of traditional ‘defined benefit’ pensions, paying out from retirement until death has largely come to an end outside of the public sector.
Most private sector workers are instead saving into a different type of pension – a ‘defined contribution’ arrangement – which at its heart is basically a tax-advantaged savings account that you cannot touch until you are in your late 50s.
**Calculated crystals that have nothing to do with the piece**
-- begin --
(1)
LiZnSb2 | the Alexandria database | PBEsol | relaxed; uncorrected formation energy = -0.079 eV per atom; DFT total energy = -12.98 eV/f.u.
1.0
4.1134 0.0000 0.0000
0.0000 4.1134 0.0000
-2.0567 -2.0567 4.9557
Li Sb Zn
1 2 1
direct
0.2500 0.7500 0.5000
0.7500 0.2500 0.5000
0.0000 0.0000 0.0000
0.5000 0.5000 0.0000

***

(2)
Y2AlIn | the Alexandria database | PBEsol | relaxed; DFT formation energy = -428 meV per atom; DFT total energy = -22.43 eV/f.u.
1.0
3.8716 0.0000 0.0000
0.0000 4.8279 0.0000
-1.9358 -2.4140 5.2177
Y Al In
2 1 1
direct
0.7583 0.7583 0.5166
0.9930 0.4930 0.9861
0.5270 0.0270 0.0539
0.2217 0.2217 0.4434

***

(3)
CsZn3Pt | the Alexandria database | PBEsol | relaxed; DFT formation energy = -171 meV per atom; DFT total energy = -13.51 eV/f.u.
1.0
-2.9278 -3.7410 1.3858
2.8072 -0.7105 4.0127
-2.8346 3.1603 2.5426
Zn Pt Cs
3 1 1
direct
0.0000 0.5000 0.0000
0.0000 0.0000 0.5000
0.5000 0.0000 0.0000
0.0000 0.0000 0.0000
0.5000 0.5000 0.5000

***

(4)
TaRe2Se | the Alexandria database | PBEsol | relaxed; uncorrected formation energy = 0.289 eV per atom; DFT total energy = -41.91 eV/f.u.
1.0
-1.6363 -1.9244 1.6154
2.8058 -3.3339 -1.1296
2.5690 0.9121 3.6887
Se Re Ta
1 2 1
direct
0.5000 0.0000 0.5000
0.5000 0.5000 0.0000
0.0000 0.0000 0.0000
0.0000 0.5000 0.5000

***

(5)
HfZnCd2Co | the Alexandria database | PBEsol | relaxed; DFT formation energy = 394 meV per atom; DFT total energy = -20.25 eV/f.u.
1.0
-1.4955 -2.4510 -3.4135
-3.5738 -1.7087 2.7926
-2.8421 3.6713 -1.3910
Cd Hf Co Zn
2 1 1 1
direct
0.0000 0.5000 0.0000
0.0000 0.0000 0.5000
0.5000 0.0000 0.0000
0.0000 0.0000 0.0000
0.5000 0.5000 0.5000

***

(6)
BiBr3 | the Alexandria database | PBEsol | relaxed; uncorrected formation energy = -0.716 eV per atom; DFT total energy = -12.76 eV/f.u.
1.0
7.1999 -0.0073 -0.0011
-3.5999 6.2353 -0.0011
-1.1503 -1.9899 6.5825
Bi Br
2 6
direct
0.1663 0.8337 0.5000
0.8337 0.1663 0.5000
0.4204 0.0695 0.2491
0.0695 0.4204 0.2491
0.7729 0.7729 0.2444
0.5796 0.9305 0.7509
0.9305 0.5796 0.7509
0.2271 0.2271 0.7556

* * * * *

# 1
## Be11Ag3 (PBE)

Data for crystalline Be11Ag3 at its relaxed geometry.

E_tot = -3.369 eV/atom

Unit cell a=5.748 b=5.748 c=5.930 alpha=118.55 beta=118.55 gamma=66.69
Fractional coordinates of all 14 atoms:
Ag (0.020, 0.020, 0.824)
Ag (0.460, 0.460, 0.824)
Be (0.022, 0.375, 0.666)
Be (0.954, 0.954, 0.380)
Be (0.536, 0.916, 0.074)
Be (0.276, 0.627, 0.460)
Be (0.766, 0.179, 0.126)
Be (0.627, 0.276, 0.460)
Be (0.179, 0.766, 0.126)
Be (0.212, 0.212, 0.330)
Be (0.916, 0.536, 0.074)
Ag (0.675, 0.675, 0.403)
Be (0.328, 0.328, 0.075)
Be (0.375, 0.022, 0.666)

# 2
## Be2Ag (PBE)

Data for crystalline Be2Ag at its relaxed geometry.

E_tot = -2.864 eV/atom

Unit cell a=3.868 b=3.868 c=3.868 alpha=60.00 beta=60.00 gamma=60.00
Fractional coordinates of all 3 atoms:
Ag (0.000, 0.000, 0.000)
Be (0.250, 0.250, 0.250)
Be (0.750, 0.750, 0.750)

# 3
## Be2Ag (PBE)

Data for crystalline Be2Ag at its relaxed geometry.

E_tot = -3.418 eV/atom
-- stop --
**So much for the calculated crystals**
There are three problems with this sort of pension. The first is that most people don’t contribute much, generally only between 5pc and 8pc of salary.
Records of crystals, as found in the file.
┌──
DFT (PBE-GGA) results for a geometry-optimized SrTaCuPd structure.

a b c (Å): 4.827 4.827 4.827
angles (deg): 60.00 60.00 60.00
Positions (direct):
Sr (0.000, 0.000, 0.000)
Ta (0.500, 0.500, 0.500)
Cu (0.250, 0.250, 0.250)
Pd (0.750, 0.750, 0.750)

Energy above the most stable polymorph in this dataset ... 0.00 eV per formula unit
└──
The piece goes on.
The second is that the individual bears all the risk on the returns to their invested savings.
Third, if you want to turn your pension ‘pot’ into a guaranteed pension income, you need to find a company to sell you an annuity. And it takes a lot to provide a decent pension.
Even a pot of £400,000 – considerably more than most will accumulate – will yield a pension of just £17,000 a year from age 65 (protected from inflation). Particularly if you end up renting (rather than owning your home), your private pension won’t get you very far.
One option could be for the state to help out a little more.
More state spending on pensioners would mean people were not as reliant on their own pensions.

But the state already plays that role to a great extent. Even for middle income pensioners, state support makes up more than half of their income.
For people who want more state spending on future pensioners to help out, the difficulty is the state may struggle to do more than is currently planned.
Under current policy, spending on pensions and pensioner benefits is already set to rise from almost 6pc of national income now to almost 10pc by 2070.
Maybe that doesn’t sound like a lot, but that is equivalent to an extra £100bn per year in today’s money – therefore an extra £100bn per year to be raised in tax.
The pressures on NHS spending are even greater still.
Ultimately, the ageing population (with a third of the population over 65 in 2070 compared to a quarter today) is going to place significant stress on the public finances, making it harder for the state to support any section of society more than planned.
The recent government-commissioned review of the state pension age suggested a new cap on state pension spending.

The bad news for many of today’s workers is that if this cap were kept to, then by the early 2050s either the state pension age would need to be increased beyond age 68 or the value of the state pension would need to be cut back in some other way.
2050 might sound like a long while off – but these are the timescales on which pension planning needs to be done. What is to be done?
I am not honestly not sure right now.
But my colleagues and I at the Institute for Fiscal Studies are, in partnership with abrdn Financial Fairness Trust, today launching “The Pensions Review” to try to work out the best options.
Compound: Ba4CdCl
Source: the Alexandria database
Functional: GGA-PBE
Structure: relaxed

ρ	3.765	g/cm3
uncorrected formation energy	0.067	eV/atom
D(E_F)	9.731	states/eV/f.u.

a = 7.5759 Å, b = 7.5759 Å, c = 7.5759 Å
α = 60.00°, β = 60.00°, γ = 60.00°
With the nearest neighbours (Å) after each atom.
Positions (direct):
Ba (0.1247, 0.1247, 0.1247)  6 Ba 3.78-3.80
Ba (0.1247, 0.1247, 0.6260)  6 Ba 3.78-3.80
Ba (0.1247, 0.6260, 0.1247)  6 Ba 3.78-3.80
Ba (0.6260, 0.1247, 0.1247)  6 Ba 3.78-3.80
Cd (0.7500, 0.7500, 0.7500)  12 Ba 4.44, 4 Cl 4.64
Cl (0.5000, 0.5000, 0.5000)  12 Ba 4.44, 4 Cd 4.64

=====

Density functional theory data (PBE-GGA) for crystalline Mg6SnPb2 at its relaxed geometry. Values from VASP.

Results
Its total energy is -2.315 eV/atom. As for the total magnetic moment: 0.000 μB per formula unit. As for the formation energy from the elements: 17.1 meV per atom. As for the energy above the most stable polymorph in this dataset: 68 meV per atom.

Structure (Quantum ESPRESSO input):
```
&SYSTEM
  ibrav = 0, nat = 18, ntyp = 3
/
ATOMIC_SPECIES
Mg 24.30 Mg.upf
Sn 118.71 Sn.upf
Pb 207.20 Pb.upf
CELL_PARAMETERS angstrom
6.5422 0.0000 0.0000
0.0000 7.3623 0.0000
-5.3297 0.0000 9.7669
ATOMIC_POSITIONS crystal
Mg 0.0808 0.0336 0.2392
Mg 0.0808 0.4664 0.7392
Mg 0.1524 0.7218 0.0404
Mg 0.1524 0.7782 0.5404
Mg 0.3283 0.1327 0.0213
Mg 0.3283 0.3673 0.5213
Mg 0.6717 0.6327 0.4787
Mg 0.6717 0.8673 0.9787
Mg 0.8476 0.2218 0.4596
Mg 0.8476 0.2782 0.9596
Mg 0.9192 0.5336 0.2608
Mg 0.9192 0.9664 0.7608
Sn 0.5000 0.0000 0.5000
Sn 0.5000 0.5000 0.0000
Pb 0.3446 0.1092 0.7410
Pb 0.3446 0.3908 0.2410
Pb 0.6554 0.6092 0.7590
Pb 0.6554 0.8908 0.2590
```
We are going to be working hard on this thorny problem – how to secure the future of financial security in retirement even while the public finances are under strain. We will report back as soon as we can.